Sunday, October 9, 2005

Calculated crystals, kept here for reference =
~~~
Starting from a crystal structure in the Materials Project, relaxed with GGA-PBE, the PXRD pattern of LiSmAu2 was simulated for Cu Kα, 1.54184 Å.
No peak broadening, texture or thermal motion is included.

Structural model:
a = 4.944 Å, b = 4.944 Å, c = 4.944 Å
α = 60.00°, β = 60.00°, γ = 60.00°
Fractional positions:
Li 0.000 0.000 0.000
Sm 0.500 0.500 0.500
Au 0.250 0.250 0.250
Au 0.750 0.750 0.750

Peak list (6 most intense, 2θ = 15–90°, in order of rising 2θ)
- 2θ 22.0, I = 164
- 2θ 25.5, I = 234
- 2θ 36.3, I = 1000
- 2θ 52.3, I = 178
- 2θ 65.4, I = 367
- 2θ 88.4, I = 172


# 1
Structure and theoretical powder diffractogram of Cs2UCl5 (a crystal structure in Alexandria, relaxed with PBE; Cu Kα (λ = 1.5418 Å)).
Neutral-atom scattering factors, no anomalous dispersion.

Crystal structure
a b c (Å): 10.067 7.746 15.685
angles (deg): 90.00 90.00 90.00
Element x y z (fractional)
Cs1 0.021 0.250 0.216
Cs2 0.158 0.750 0.417
Cs3 0.342 0.250 0.917
Cs4 0.479 0.750 0.716
Cs5 0.521 0.250 0.284
Cs6 0.658 0.750 0.083
Cs7 0.842 0.250 0.583
Cs8 0.979 0.750 0.784
U1 0.180 0.750 0.062
U2 0.320 0.250 0.562
U3 0.680 0.750 0.438
U4 0.820 0.250 0.938
Cl1 0.000 0.000 0.000
Cl2 0.000 0.500 0.000
Cl3 0.032 0.750 0.206
Cl4 0.157 0.506 0.613
Cl5 0.157 0.994 0.613
Cl6 0.219 0.250 0.399
Cl7 0.281 0.750 0.899
Cl8 0.343 0.006 0.113
Cl9 0.343 0.494 0.113
Cl10 0.468 0.250 0.706
Cl11 0.500 0.000 0.500
Cl12 0.500 0.500 0.500
Cl13 0.532 0.750 0.294
Cl14 0.657 0.506 0.887
Cl15 0.657 0.994 0.887
Cl16 0.719 0.250 0.101
Cl17 0.781 0.750 0.601
Cl18 0.843 0.006 0.387
Cl19 0.843 0.494 0.387
Cl20 0.968 0.250 0.794

The 10 most intense peaks (10° ≤ 2θ ≤ 90°), in order of rising 2θ:
two_theta, Rel. int.
15.5, 38
20.5, 100
21.0, 87
21.8, 27
23.0, 54
23.9, 38
29.6, 35
31.3, 49
33.9, 39
46.4, 32

# 2
Structure and theoretical powder diffractogram of Cs5U2Cl12 (a crystal structure in Alexandria, relaxed with PBE; Cu Kα (λ = 1.5418 Å)).
Neutral-atom scattering factors, no anomalous dispersion.

Crystal structure
a b c (Å): 9.774 9.774 9.795
angles (deg): 115.63 115.63 61.49
Element x y z (fractional)
Cs1 0.000 0.000 0.000
Cs2 0.265 0.265 0.527
Cs3 0.306 0.306 0.991
Cs4 0.694 0.694 0.009
Cs5 0.735 0.735 0.473
U1 0.249 0.751 0.500
U2 0.751 0.249 0.500
Cl1 0.087 0.087 0.669
Cl2 0.111 0.518 0.279
Cl3 0.130 0.716 0.687
Cl4 0.284 0.870 0.313
Cl5 0.482 0.889 0.721
Cl6 0.496 0.496 0.655
Cl7 0.504 0.504 0.345
Cl8 0.518 0.111 0.279
Cl9 0.716 0.130 0.687
Cl10 0.870 0.284 0.313
Cl11 0.889 0.482 0.721
Cl12 0.913 0.913 0.331

The 10 most intense peaks (10° ≤ 2θ ≤ 90°), in order of rising 2θ:
two_theta, Rel. int.
10.5, 100
11.4, 49
20.6, 62
21.0, 52
21.2, 60
21.6, 96
22.9, 45
25.5, 60
34.5, 44
42.0, 45

# 3
Structure and theoretical powder diffractogram of CsU2Cl8 (a crystal structure in Alexandria, relaxed with PBE; Cu Kα (λ = 1.5418 Å)).
Neutral-atom scattering factors, no anomalous dispersion.

Crystal structure
a b c (Å): 8.845 8.845 8.845
angles (deg): 144.61 130.12 62.64
Element x y z (fractional)
~~~
Back to the article =

Planet Earth at Aphelion

Poor conservatives! After years of liberal restrictions on the basic human right to forcibly shove Jesus down the throats of all the stupid degenerates who cannot be made to see the light (so much for the supposed value of education!), here it appears that W is squandering the chance for which they've been waiting since the moment they learned how to control people. This is an opportunity as rare as the alignment of our solar system's planets (well, in the mythological scientific world sold to us by liberals for all these years in their efforts to kill God); here W has the chance not simply to start moving the court's alignment to the far right, but to take the first steps in a comprehensive retooling of the American Dream. A dream where mothers who don't want to be pregnant are shown the boot or the jail cell; where doctors who assist women with these decisions are hunted down and prosecuted, with a gun (in every home!) if necessary; a world where a coat hanger is never just a coat hanger; where it's made clear from Day One to young school students that Jesus Is Lord. And these are just the obvious things! Who knows what other exciting revelations await in this grand vision of homespun decency and moral rectitude?

What an opportunity: it's an alignment of the planets of conservatism, if you will, that we've not seen since the halcyon days of despotic kingly rule. And what does W do? Leaving his playbook behind and just winging it, he appoints someone with nothing like the proper background and whose prime qualifications seem to be an unquestioned fealty to The Man Himself and a willingness to publicly admit to a radical personal transformation at the hands of an imaginary friend. The same imaginary friend, not coincidentally, that saved W himself from everything he is. (Or was before the imaginary friend thing.) Talk about a lost opportunity! I mean, you're only gonna get a candidate like that thru a congress where the whole lot of them are embracing their imaginary friends. (Hey, Tom Delay has experience bringing that about.) Anyway, this approach to choosing candidates stands in stark contrast to W's past practice of appointing to important posts people with rich and exemplary qualifications, even when their views differed from his own...

Oh, God! I got off track! I was thinking of another president entirely! I'm reading Michael O'Brien's new biography of JFK, and this was his approach to appointments. It's easy to confuse the two guys, though...

1 comment:

BroderWriter said...

Thank you for your brilliant and original writing! How fresh! How choice! I saw you had visited my spot so I stopped and checked out yours. More power to ya'! And thanks for what you do.

Tumerica (who has a penchant for over-using exclamation marks!)